Assignment:
Please transcribe all of the calculation results further below with every line break kept.

Listing:
'''
# 1
DFT (ωB97M-V with the def2-TZVPD basis set) results for a cluster of 7 separate species, C39H68Cl2FN3O18PS in total in a non-equilibrium geometry.

The geometry in ORCA input format:
```
! wB97M-V def2-TZVPD RIJCOSX def2/J DEFGRID3
* xyz 1 1
C -5.126 -4.470 0.732
C -4.156 -3.212 1.150
C -2.536 -3.627 1.214
Cl -2.363 -5.469 0.820
N -1.682 -2.785 0.279
C -1.982 -2.837 -1.233
O -3.051 -3.692 -1.826
N -2.527 -4.783 -2.415
O -3.464 -5.217 -3.110
C -1.144 -1.924 -2.353
S -1.613 -2.079 -4.199
C 0.075 -0.948 -1.852
C 0.895 -0.108 -2.997
O 1.660 -0.847 -3.846
O 0.834 1.351 -3.212
C -0.383 1.694 -3.985
C -1.231 2.765 -3.022
C -2.849 2.715 -3.308
F -0.654 4.142 -3.244
C 0.387 -0.937 -0.232
C 1.650 0.009 0.265
C 1.230 1.206 1.303
C 2.428 1.242 2.471
N 2.430 0.282 3.679
O 3.455 2.118 2.444
C -0.531 -1.883 0.773
P -0.017 -1.776 2.649
O 0.309 -3.383 3.243
Cl -1.792 -1.054 3.651
H -6.241 -4.068 0.671
H -4.896 -4.905 -0.351
H -5.111 -5.355 1.524
H -4.231 -2.299 0.386
H -4.523 -2.852 2.220
H -2.254 -3.544 2.346
H -0.759 -3.067 -4.771
H -0.162 2.226 -5.011
H -1.102 0.776 -4.173
H -1.023 2.414 -1.900
H -3.292 1.892 -2.589
H -3.077 2.490 -4.454
H -3.294 3.774 -3.022
H 2.410 -0.703 0.838
H 2.259 0.489 -0.615
H 1.216 2.282 0.843
H 0.171 1.035 1.821
H 2.965 0.739 4.478
H 2.970 -0.587 3.389
H -0.308 -3.581 4.019
O 3.752 -1.570 1.896
C 4.912 -1.871 2.152
O 5.915 -1.496 1.326
C 7.316 -1.611 1.638
C 7.841 -2.983 1.265
C 5.237 -2.739 3.332
H 7.510 -1.355 2.683
H 7.829 -0.855 1.034
H 7.348 -3.772 1.839
H 8.919 -3.045 1.446
H 7.649 -3.192 0.208
H 5.150 -3.790 3.042
H 4.515 -2.525 4.128
H 6.220 -2.551 3.758
O 1.527 4.502 0.335
C 1.987 5.388 -0.376
O 2.818 6.321 0.143
C 3.574 7.266 -0.638
C 2.751 8.505 -0.929
C 1.566 5.516 -1.811
H 3.971 6.801 -1.545
H 4.440 7.546 -0.029
H 1.868 8.269 -1.529
H 3.348 9.246 -1.469
H 2.391 8.953 0.002
H 0.648 6.107 -1.867
H 1.373 4.512 -2.205
H 2.329 5.951 -2.455
O -2.493 -5.703 -8.355
C -2.424 -6.518 -7.442
O -1.908 -7.749 -7.661
C -1.587 -8.696 -6.624
C -2.800 -9.529 -6.260
C -2.994 -6.205 -6.090
H -1.143 -8.198 -5.758
H -0.812 -9.352 -7.034
H -3.605 -8.911 -5.854
H -2.537 -10.288 -5.517
H -3.201 -10.029 -7.148
H -4.058 -6.457 -6.079
H -2.877 -5.132 -5.905
H -2.484 -6.709 -5.271
O -6.378 -4.305 4.279
C -7.595 -4.363 4.146
O -8.136 -4.823 2.995
C -9.531 -5.130 2.814
C -10.308 -3.893 2.406
C -8.510 -3.839 5.214
H -9.948 -5.615 3.702
H -9.583 -5.868 2.006
H -10.275 -3.124 3.183
H -11.355 -4.143 2.210
H -9.876 -3.451 1.503
H -8.661 -2.767 5.065
H -8.036 -4.004 6.187
H -9.471 -4.348 5.257
O 2.485 8.534 -3.972
C 2.945 9.421 -4.683
O 3.776 10.353 -4.164
C 4.531 11.298 -4.945
C 3.709 12.537 -5.236
C 2.524 9.548 -6.118
H 4.929 10.833 -5.852
H 5.398 11.578 -4.336
H 2.825 12.301 -5.836
H 4.306 13.278 -5.777
H 3.349 12.986 -4.305
H 1.606 10.139 -6.174
H 2.330 8.544 -6.512
H 3.286 9.983 -6.762
O 3.657 -0.586 5.977
C 3.464 -0.208 7.127
O 2.776 -0.983 7.996
C 2.679 -0.735 9.410
C 1.532 0.210 9.715
C 3.902 1.157 7.569
H 3.632 -0.386 9.818
H 2.478 -1.703 9.881
H 1.687 1.190 9.255
H 1.423 0.347 10.795
H 0.594 -0.185 9.313
H 3.123 1.884 7.323
H 4.820 1.418 7.031
H 4.147 1.218 8.628
*
```

Output
HOMO energy (eV): -10.6

Here are the Mulliken charges for atoms 1 to 6, given in e: number 1, C, carries -0.804; number 2, C, carries -0.294; number 3, C, carries -0.060; number 4, Cl, carries -0.136; number 5, N, carries 0.331; number 6, C, carries -0.090

# 2
DFT (ωB97M-V with the def2-TZVPD basis set) results for a cluster of 10 separate species, C39H68O30 in total in a non-equilibrium geometry.

The geometry in ORCA input format:
```
! wB97M-V def2-TZVPD RIJCOSX def2/J DEFGRID3
* xyz 0 1
C 1.213 -6.783 -3.762
C 1.313 -6.014 -5.085
C 1.555 -6.887 -6.274
O 0.567 -6.524 -7.143
C -0.252 -5.562 -6.586
O -1.149 -4.988 -7.212
O 0.067 -5.394 -5.289
H 1.983 -7.551 -3.698
H 0.313 -7.397 -3.724
H 1.101 -6.089 -2.929
H 2.217 -5.406 -5.052
H 1.455 -7.955 -6.081
H 2.606 -6.706 -6.502
C 0.110 -7.489 4.848
C 0.275 -7.011 3.353
C -0.227 -7.988 2.308
'''

Reply:
# 1
DFT (ωB97M-V with the def2-TZVPD basis set) results for a cluster of 7 separate species, C39H68Cl2FN3O18PS in total in a non-equilibrium geometry.

The geometry in ORCA input format:
```
! wB97M-V def2-TZVPD RIJCOSX def2/J DEFGRID3
* xyz 1 1
C -5.126 -4.470 0.732
C -4.156 -3.212 1.150
C -2.536 -3.627 1.214
Cl -2.363 -5.469 0.820
N -1.682 -2.785 0.279
C -1.982 -2.837 -1.233
O -3.051 -3.692 -1.826
N -2.527 -4.783 -2.415
O -3.464 -5.217 -3.110
C -1.144 -1.924 -2.353
S -1.613 -2.079 -4.199
C 0.075 -0.948 -1.852
C 0.895 -0.108 -2.997
O 1.660 -0.847 -3.846
O 0.834 1.351 -3.212
C -0.383 1.694 -3.985
C -1.231 2.765 -3.022
C -2.849 2.715 -3.308
F -0.654 4.142 -3.244
C 0.387 -0.937 -0.232
C 1.650 0.009 0.265
C 1.230 1.206 1.303
C 2.428 1.242 2.471
N 2.430 0.282 3.679
O 3.455 2.118 2.444
C -0.531 -1.883 0.773
P -0.017 -1.776 2.649
O 0.309 -3.383 3.243
Cl -1.792 -1.054 3.651
H -6.241 -4.068 0.671
H -4.896 -4.905 -0.351
H -5.111 -5.355 1.524
H -4.231 -2.299 0.386
H -4.523 -2.852 2.220
H -2.254 -3.544 2.346
H -0.759 -3.067 -4.771
H -0.162 2.226 -5.011
H -1.102 0.776 -4.173
H -1.023 2.414 -1.900
H -3.292 1.892 -2.589
H -3.077 2.490 -4.454
H -3.294 3.774 -3.022
H 2.410 -0.703 0.838
H 2.259 0.489 -0.615
H 1.216 2.282 0.843
H 0.171 1.035 1.821
H 2.965 0.739 4.478
H 2.970 -0.587 3.389
H -0.308 -3.581 4.019
O 3.752 -1.570 1.896
C 4.912 -1.871 2.152
O 5.915 -1.496 1.326
C 7.316 -1.611 1.638
C 7.841 -2.983 1.265
C 5.237 -2.739 3.332
H 7.510 -1.355 2.683
H 7.829 -0.855 1.034
H 7.348 -3.772 1.839
H 8.919 -3.045 1.446
H 7.649 -3.192 0.208
H 5.150 -3.790 3.042
H 4.515 -2.525 4.128
H 6.220 -2.551 3.758
O 1.527 4.502 0.335
C 1.987 5.388 -0.376
O 2.818 6.321 0.143
C 3.574 7.266 -0.638
C 2.751 8.505 -0.929
C 1.566 5.516 -1.811
H 3.971 6.801 -1.545
H 4.440 7.546 -0.029
H 1.868 8.269 -1.529
H 3.348 9.246 -1.469
H 2.391 8.953 0.002
H 0.648 6.107 -1.867
H 1.373 4.512 -2.205
H 2.329 5.951 -2.455
O -2.493 -5.703 -8.355
C -2.424 -6.518 -7.442
O -1.908 -7.749 -7.661
C -1.587 -8.696 -6.624
C -2.800 -9.529 -6.260
C -2.994 -6.205 -6.090
H -1.143 -8.198 -5.758
H -0.812 -9.352 -7.034
H -3.605 -8.911 -5.854
H -2.537 -10.288 -5.517
H -3.201 -10.029 -7.148
H -4.058 -6.457 -6.079
H -2.877 -5.132 -5.905
H -2.484 -6.709 -5.271
O -6.378 -4.305 4.279
C -7.595 -4.363 4.146
O -8.136 -4.823 2.995
C -9.531 -5.130 2.814
C -10.308 -3.893 2.406
C -8.510 -3.839 5.214
H -9.948 -5.615 3.702
H -9.583 -5.868 2.006
H -10.275 -3.124 3.183
H -11.355 -4.143 2.210
H -9.876 -3.451 1.503
H -8.661 -2.767 5.065
H -8.036 -4.004 6.187
H -9.471 -4.348 5.257
O 2.485 8.534 -3.972
C 2.945 9.421 -4.683
O 3.776 10.353 -4.164
C 4.531 11.298 -4.945
C 3.709 12.537 -5.236
C 2.524 9.548 -6.118
H 4.929 10.833 -5.852
H 5.398 11.578 -4.336
H 2.825 12.301 -5.836
H 4.306 13.278 -5.777
H 3.349 12.986 -4.305
H 1.606 10.139 -6.174
H 2.330 8.544 -6.512
H 3.286 9.983 -6.762
O 3.657 -0.586 5.977
C 3.464 -0.208 7.127
O 2.776 -0.983 7.996
C 2.679 -0.735 9.410
C 1.532 0.210 9.715
C 3.902 1.157 7.569
H 3.632 -0.386 9.818
H 2.478 -1.703 9.881
H 1.687 1.190 9.255
H 1.423 0.347 10.795
H 0.594 -0.185 9.313
H 3.123 1.884 7.323
H 4.820 1.418 7.031
H 4.147 1.218 8.628
*
```

Output
HOMO energy (eV): -10.6

Here are the Mulliken charges for atoms 1 to 6, given in e: number 1, C, carries -0.804; number 2, C, carries -0.294; number 3, C, carries -0.060; number 4, Cl, carries -0.136; number 5, N, carries 0.331; number 6, C, carries -0.090

# 2
DFT (ωB97M-V with the def2-TZVPD basis set) results for a cluster of 10 separate species, C39H68O30 in total in a non-equilibrium geometry.

The geometry in ORCA input format:
```
! wB97M-V def2-TZVPD RIJCOSX def2/J DEFGRID3
* xyz 0 1
C 1.213 -6.783 -3.762
C 1.313 -6.014 -5.085
C 1.555 -6.887 -6.274
O 0.567 -6.524 -7.143
C -0.252 -5.562 -6.586
O -1.149 -4.988 -7.212
O 0.067 -5.394 -5.289
H 1.983 -7.551 -3.698
H 0.313 -7.397 -3.724
H 1.101 -6.089 -2.929
H 2.217 -5.406 -5.052
H 1.455 -7.955 -6.081
H 2.606 -6.706 -6.502
C 0.110 -7.489 4.848
C 0.275 -7.011 3.353
C -0.227 -7.988 2.308